Agenda item

Chair's Update

Cllr Hanna will provide a verbal update on relevant issues since the last meeting.


There are two documents attached to this item:


1.     A report containing recommendations from the Committee on Palliative Care Provision in Oxfordshire.


2.     A brief statement from the BOB Integrated Care Board Director of Urgent and Emergency Care for Oxfordshire, which outlines the redesignation of the Urgent care centres on the Horton General Hospital and John Radcliffe hospital sites.


The Committee is recommended to NOTE the Chair’s update having raised any relevant questions.


In addition, no details of the outcomes of discussions between the Council and BOB ICB in regards to the latter’s restructure since the last HOSC meeting have been submitted. Stephen Chandler will be invited to update the Committee on the current situation.


The Committee Chair outlined the following points to update the Committee on

developments since the previous meeting:


1.           A HOSC report containing recommendations from the Committee on Palliative/End of Life Care, which was discussed during the 06 June 2024 HOSC meeting, had been published in the agenda papers for this meeting.


2.           A brief statement from the BOB Integrated Care Board Director of Urgent and Emergency Care for Oxfordshire, which outlined the redesignation of the Urgent care centres on the Horton General Hospital and John Radcliffe hospital sites, was included in the agenda. Lily O’Connor, Programme Director Urgent and Emergency Care for Oxfordshire, BOB ICB, explained that this redesignation was primarily for governance and reporting purposes and did not affect the centres’ operations or names.


3.           The HOSC’s Oxford Community Health Hubs Working Group met with senior representatives of Oxford Health NHS Foundation Trust as well as the OCC Cabinet Member for transport to discuss the avenues of transportation and access to the newly developing health hubs for both patients and staff.


4.           Maternity Update: HOSC had been involved in close and ongoing scrutiny of maternity services. Members would have seen the dossier produced by Keep the Horton General, and the Committee had received a briefing from OUH in July on the state of maternity services and highlighted the issues emerging from the dossier, urging the Trust to have a clear plan and to take adequate measures to address the issues with maternity services. A public meeting on maternity services was scheduled for the next HOSC meeting in November.

== These records of molecules were left in the page by mistake ==
........
No. 1
Here is C49H57F6N7O3PPbSb as an isolated structure from the OMol25 dataset. Energies are from the ωB97M-V functional and the def2-TZVPD basis.

```
125
C49H57F6N7O3PPbSb (the ωB97M-V functional and the def2-TZVPD basis)
Pb -0.09742 0.87719 -0.48334
C 4.49419 -0.20859 2.30539
C 4.47547 -1.52567 1.57365
C 4.97236 -2.65993 2.21173
C 5.09184 -3.87758 1.56341
C 4.74943 -3.97407 0.22426
C 4.25233 -2.86347 -0.43688
C 4.06142 -1.65875 0.24144
N 3.50291 -0.53714 -0.43026
C 2.45947 -0.46876 -1.29117
N 1.85323 -1.60447 -1.67033
C 0.58936 -1.69110 -2.35710
C -0.47271 -0.86064 -1.99378
C -1.65601 -1.01104 -2.70959
C -1.78986 -1.97205 -3.70925
C -0.72162 -2.79557 -4.01562
C 0.49743 -2.66101 -3.35247
C 1.67343 -3.52534 -3.71203
N 2.04855 0.75180 -1.64907
C 2.25732 1.20875 -2.99497
C 1.33874 1.03654 -4.02895
C 1.56708 1.58275 -5.28374
C 2.71959 2.31217 -5.52231
C 3.63455 2.49083 -4.49662
C 3.42427 1.95453 -3.23044
C 4.42026 2.21032 -2.13369
H 4.26718 -0.34966 3.36236
H 3.81112 0.54453 1.91551
H 5.49330 0.23077 2.25277
H 5.28557 -2.57084 3.24562
H 5.48724 -4.73568 2.09080
H 4.89438 -4.90023 -0.31642
H 4.06428 -2.91660 -1.50243
H 3.83787 0.38863 -0.20093
H 2.20699 -2.47385 -1.29859
H -2.50604 -0.36900 -2.49380
H -2.72101 -2.07208 -4.25471
H -0.81503 -3.53933 -4.79810
H 1.47259 -4.09518 -4.61728
H 1.90775 -4.24563 -2.92011
H 2.56714 -2.92084 -3.87854
H 0.42833 0.48684 -3.85134
H 0.83785 1.43510 -6.07132
H 2.90849 2.74058 -6.49840
H 4.53363 3.06965 -4.67401
H 5.15333 2.95124 -2.44889
H 4.96967 1.30405 -1.86651
H 3.92492 2.57648 -1.23059
O -2.19602 4.00363 0.40429
H -2.58420 4.74521 0.88019
H -1.26018 3.98409 0.66938
O -3.00209 1.44864 -0.29680
H -2.84186 2.37650 -0.01400
H -3.53728 1.50329 -1.09803
N 0.18875 -0.30660 2.60154
N 1.07637 -0.74587 1.57667
H 0.21186 0.71329 2.58605
H 0.52018 -0.57696 3.52545
H 1.09780 -1.75999 1.56193
H 2.00791 -0.38695 1.75163
N -0.48990 6.49181 -5.57854
C 0.09016 6.49136 -4.35052
O 0.68918 7.44026 -3.89371
C -0.06234 5.21929 -3.55497
C -1.15060 4.36488 -3.68489
C -1.19329 3.22785 -2.90036
N -0.23101 2.91279 -2.03811
C 0.80749 3.74076 -1.90188
C 0.92368 4.90896 -2.63075
H -0.34886 7.30447 -6.15453
H -0.79805 5.64251 -6.01443
H -1.96576 4.57982 -4.36277
H -2.02410 2.53449 -2.97599
H 1.56719 3.45276 -1.18523
H 1.76482 5.57313 -2.48900
C -5.67545 -0.86148 2.90150
C -5.39450 -1.38498 1.51932
C -6.48738 -1.68476 0.70571
C -6.34129 -2.13808 -0.59438
C -5.07280 -2.28740 -1.12889
C -3.97129 -2.00333 -0.34050
C -4.11408 -1.58968 0.98168
Sb -2.25858 -1.22225 2.01203
C -1.03764 -2.96719 1.86054
C -0.86805 -3.38998 0.54018
C 0.07208 -4.34996 0.19695
C 0.87751 -4.89292 1.18349
C 0.72055 -4.47482 2.49623
C -0.22595 -3.51916 2.86490
C -0.31308 -3.15588 4.32285
C -2.71089 -0.60081 3.97849
C -3.04285 -1.53467 4.95742
C -3.40252 -1.12513 6.22963
C -3.43244 0.23032 6.52173
C -3.13031 1.15979 5.54049
C -2.77622 0.77156 4.24908
C -2.54732 1.83255 3.20462
H -6.74181 -0.67479 3.01254
H -5.15268 0.07361 3.09986
H -5.38189 -1.57117 3.67560
........


5.           Buckinghamshire, Oxfordshire and Berkshire West Integrated Care Board (BOB ICB) Proposed Restructuring: The Chair addressed the proposals for restructuring within the ICB, which was the focus of the HOSC meeting in August. The Committee had expressed concerns about the impact of these proposals on partnership working with local authorities, the NHS, and the voluntary sector. The Chair noted that positive negotiations had been ongoing, but the ICB had not provided a written statement to reassure the Committee.


Stephen Chandler, the Director for People and Transformation, provided further details on the negotiations with the ICB. He mentioned that while there had been positive discussions, no written confirmation of this progress had been received. The Director expressed concerns about the ICB’s operating model and the potential impact on local services. He also highlighted the importance of prevention and early intervention, which could be undermined by the proposed changes. The ICB had chosen not to give an update on the state of the proposed changes until after their Board Meeting at the end of September, which would be held in private.


The Committee NOTED the Chair’s Update.


The Committee AGREED the following recommendations:


1.           For the Committee to DELEGATE to the Health Scrutiny Officer, in consultation with the Chair and Director for People and Transformation, to request a call-in (on behalf of the County Council) from the Secretary of State for Health & Social Care in relation to the BOB ICB proposed operating model.

2.           For the Committee to DELEGATE to the Health Scrutiny Officer and Chair to communicate to the Chair and CEO of the ICB the decision of HOSC, and to write to all Oxfordshire MPs to offer a briefing and to seek their support for a call-in.





Supporting documents: